Assignment.
Give back the part of the data further down that starts with the line with "41.65 deg," and stops after the one with "51.63 deg,".

Source.
TaMnNbFe: calculated powder diffractogram (Cu Kα), based on a structure optimized by DFT (GGA-PBE).
Intensities are scaled so that the largest is 100.

Largest 10 diffraction maxima, in order of rising 2θ, 2θ from 10° to 90°:
- 25.15 deg, I 11
- 29.12 deg, I 22
- 41.65 deg, I 100
- 49.28 deg, I 6
- 51.63 deg, I 6
- 60.37 deg, I 16
- 66.45 deg, I 3
- 68.41 deg, I 9
- 76.02 deg, I 32
- 81.56 deg, I 2

Structure:
```
TaMnNbFe
1.0
0.000 3.066 3.066
3.066 0.000 3.066
3.066 3.066 0.000
Ta Mn Nb Fe
1 1 1 1
direct
0.000 0.000 0.000 Ta
0.250 0.250 0.250 Mn
0.500 0.500 0.500 Nb
0.750 0.750 0.750 Fe
```

Response.
- 41.65 deg, I 100
- 49.28 deg, I 6
- 51.63 deg, I 6